[Activity]
Print the whole of the lines below unchanged, please.

[Listing]
'''
# 1
This entry pairs a crystal structure of PrYTe2O8 with its computed XRD peak list. Radiation: Cu Kα (λ = 1.5418 Å). Structure: a cell relaxed with PBE.

Structure:
```
data_PrYTe2O8
_chemical_formula_sum 'Pr2 Y2 Te4 O16'
_cell_length_a 7.521
_cell_length_b 7.521
_cell_length_c 6.936
_cell_angle_alpha 90.00
_cell_angle_beta 90.00
_cell_angle_gamma 90.00
_space_group_name_H-M_alt 'I -4 m 2'
_space_group_IT_number 119
_space_group_name_Hall 'I -4 -2'
loop_
_atom_site_label
_atom_site_type_symbol
_atom_site_fract_x
_atom_site_fract_y
_atom_site_fract_z
Pr1 Pr 0.000 0.000 0.000
Y1 Y 0.000 0.500 0.250
Te1 Te 0.000 0.000 0.500
Te2 Te 0.000 0.500 0.750
O1 O 0.000 0.190 0.302
O2 O 0.000 0.321 0.946
```

Main lines, low angle first (10° ≤ 2θ ≤ 90°):
2θ (°)  d [Å]  I/Imax
23.66  3.761  100.0
30.78  2.905  76.7
33.70  2.659  23.8
46.29  1.962  65.9
48.41  1.880  16.2
54.57  1.682  15.1
58.47  1.579  20.0
58.62  1.575  14.8
64.11  1.453  10.3
69.21  1.357  14.1
79.23  1.209  12.1
79.37  1.207  11.5


# 2
This entry pairs a crystal structure of PrTiTlO4 with its computed XRD peak list. Radiation: Cu Kα (λ = 1.5418 Å). Structure: a cell relaxed with PBE.

Structure:
```
data_PrTiTlO4
_chemical_formula_sum 'Pr2 Ti2 Tl2 O8'
_cell_length_a 6.297
_cell_length_b 6.126
_cell_length_c 7.631
_cell_angle_alpha 90.00
_cell_angle_beta 104.39
_cell_angle_gamma 90.00
_space_group_name_H-M_alt 'P 1 21/m 1'
_space_group_IT_number 11
_space_group_name_Hall '-P 2yb'
loop_
_atom_site_label
_atom_site_type_symbol
_atom_site_fract_x
_atom_site_fract_y
_atom_site_fract_z
Pr1 Pr 0.195 0.250 0.066
Ti1 Ti 0.283 0.750 0.849
Tl1 Tl 0.319 0.250 0.605
O1 O 0.085 0.523 0.841
O2 O 0.471 0.750 0.702
O3 O 0.475 0.750 0.067
```

Main lines, low angle first (10° ≤ 2θ ≤ 90°):
2θ (°)  d [Å]  I/Imax
20.55  4.322  100.0
21.06  4.218  35.7
24.88  3.579  23.2
28.20  3.164  73.8
28.89  3.091  21.4
29.15  3.063  49.1
32.33  2.769  20.4
36.29  2.476  38.5
38.69  2.327  23.2
41.80  2.161  17.4
45.48  1.994  29.0
51.09  1.788  21.2


# 3
This entry pairs a crystal structure of Pr9Tl3O2 with its computed XRD peak list. Radiation: Cu Kα (λ = 1.5418 Å). Structure: a cell relaxed with PBE.

Structure:
```
data_Pr9Tl3O2
_chemical_formula_sum 'Pr9 Tl3 O2'
_cell_length_a 7.1717
_cell_length_b 7.1717
_cell_length_c 8.7895
_cell_angle_alpha 90.00
_cell_angle_beta 90.00
_cell_angle_gamma 120.00
_space_group_name_H-M_alt 'P -3 m 1'
_space_group_IT_number 164
_space_group_name_Hall '-P 3 2"'
loop_
_atom_site_label
_atom_site_type_symbol
_atom_site_fract_x
_atom_site_fract_y
_atom_site_fract_z
Pr1 Pr 0.0000 0.5000 0.0000
Pr2 Pr 0.1690 0.3380 0.6691
Tl1 Tl 0.0000 0.0000 0.0000
Tl2 Tl 0.3333 0.6667 0.3329
O1 O 0.3333 0.6667 0.8410
```

Main lines, low angle first (10° ≤ 2θ ≤ 90°):
2θ (°)  d [Å]  I/Imax
17.48  5.072  1.5
24.82  3.587  3.1
30.53  2.928  100.0
35.39  2.536  54.5
39.74  2.268  0.9
43.71  2.071  1.5
50.92  1.793  38.7
60.54  1.529  43.4
63.54  1.464  13.2
74.88  1.268  6.1
82.98  1.164  18.0
85.64  1.134  17.6


Theoretical powder XRD pattern
Compound: Li12Al3Si4
Radiation: Cu Ka
Structure: a GGA-PBE-relaxed structure

The 10 most intense peaks (2θ from 15° to 90°), in order of rising 2θ:
2θ (°)	d (Å)	I_rel
20.68	4.295	100
23.92	3.720	28
31.83	2.812	34
40.21	2.243	92
42.08	2.147	27
43.88	2.063	69
47.33	1.921	15
56.71	1.623	16
70.48	1.336	23
78.15	1.223	26

Atomic structure:
```
Li12Al3Si4
1.0
-5.2602 5.2602 5.2602
5.2602 -5.2602 5.2602
5.2602 5.2602 -5.2602
Li Al Si
24 6 8
Direct
0.0363 0.6148 0.3461 Li
0.0785 0.3097 0.9637 Li
0.1148 0.5363 0.8461 Li
0.1539 0.7688 0.6903 Li
0.1903 0.2688 0.6539 Li
0.2312 0.4215 0.3852 Li
0.2688 0.6539 0.1903 Li
0.3097 0.9637 0.0785 Li
0.3461 0.0363 0.6148 Li
0.3852 0.2312 0.4215 Li
0.4215 0.3852 0.2312 Li
0.4637 0.8097 0.5785 Li
0.5363 0.8461 0.1148 Li
0.5785 0.4637 0.8097 Li
0.6148 0.3461 0.0363 Li
0.6539 0.1903 0.2688 Li
0.6903 0.1539 0.7688 Li
0.7312 0.8852 0.9215 Li
0.7688 0.6903 0.1539 Li
0.8097 0.5785 0.4637 Li
0.8461 0.1148 0.5363 Li
'''

[Result]
# 1
This entry pairs a crystal structure of PrYTe2O8 with its computed XRD peak list. Radiation: Cu Kα (λ = 1.5418 Å). Structure: a cell relaxed with PBE.

Structure:
```
data_PrYTe2O8
_chemical_formula_sum 'Pr2 Y2 Te4 O16'
_cell_length_a 7.521
_cell_length_b 7.521
_cell_length_c 6.936
_cell_angle_alpha 90.00
_cell_angle_beta 90.00
_cell_angle_gamma 90.00
_space_group_name_H-M_alt 'I -4 m 2'
_space_group_IT_number 119
_space_group_name_Hall 'I -4 -2'
loop_
_atom_site_label
_atom_site_type_symbol
_atom_site_fract_x
_atom_site_fract_y
_atom_site_fract_z
Pr1 Pr 0.000 0.000 0.000
Y1 Y 0.000 0.500 0.250
Te1 Te 0.000 0.000 0.500
Te2 Te 0.000 0.500 0.750
O1 O 0.000 0.190 0.302
O2 O 0.000 0.321 0.946
```

Main lines, low angle first (10° ≤ 2θ ≤ 90°):
2θ (°)  d [Å]  I/Imax
23.66  3.761  100.0
30.78  2.905  76.7
33.70  2.659  23.8
46.29  1.962  65.9
48.41  1.880  16.2
54.57  1.682  15.1
58.47  1.579  20.0
58.62  1.575  14.8
64.11  1.453  10.3
69.21  1.357  14.1
79.23  1.209  12.1
79.37  1.207  11.5


# 2
This entry pairs a crystal structure of PrTiTlO4 with its computed XRD peak list. Radiation: Cu Kα (λ = 1.5418 Å). Structure: a cell relaxed with PBE.

Structure:
```
data_PrTiTlO4
_chemical_formula_sum 'Pr2 Ti2 Tl2 O8'
_cell_length_a 6.297
_cell_length_b 6.126
_cell_length_c 7.631
_cell_angle_alpha 90.00
_cell_angle_beta 104.39
_cell_angle_gamma 90.00
_space_group_name_H-M_alt 'P 1 21/m 1'
_space_group_IT_number 11
_space_group_name_Hall '-P 2yb'
loop_
_atom_site_label
_atom_site_type_symbol
_atom_site_fract_x
_atom_site_fract_y
_atom_site_fract_z
Pr1 Pr 0.195 0.250 0.066
Ti1 Ti 0.283 0.750 0.849
Tl1 Tl 0.319 0.250 0.605
O1 O 0.085 0.523 0.841
O2 O 0.471 0.750 0.702
O3 O 0.475 0.750 0.067
```

Main lines, low angle first (10° ≤ 2θ ≤ 90°):
2θ (°)  d [Å]  I/Imax
20.55  4.322  100.0
21.06  4.218  35.7
24.88  3.579  23.2
28.20  3.164  73.8
28.89  3.091  21.4
29.15  3.063  49.1
32.33  2.769  20.4
36.29  2.476  38.5
38.69  2.327  23.2
41.80  2.161  17.4
45.48  1.994  29.0
51.09  1.788  21.2


# 3
This entry pairs a crystal structure of Pr9Tl3O2 with its computed XRD peak list. Radiation: Cu Kα (λ = 1.5418 Å). Structure: a cell relaxed with PBE.

Structure:
```
data_Pr9Tl3O2
_chemical_formula_sum 'Pr9 Tl3 O2'
_cell_length_a 7.1717
_cell_length_b 7.1717
_cell_length_c 8.7895
_cell_angle_alpha 90.00
_cell_angle_beta 90.00
_cell_angle_gamma 120.00
_space_group_name_H-M_alt 'P -3 m 1'
_space_group_IT_number 164
_space_group_name_Hall '-P 3 2"'
loop_
_atom_site_label
_atom_site_type_symbol
_atom_site_fract_x
_atom_site_fract_y
_atom_site_fract_z
Pr1 Pr 0.0000 0.5000 0.0000
Pr2 Pr 0.1690 0.3380 0.6691
Tl1 Tl 0.0000 0.0000 0.0000
Tl2 Tl 0.3333 0.6667 0.3329
O1 O 0.3333 0.6667 0.8410
```

Main lines, low angle first (10° ≤ 2θ ≤ 90°):
2θ (°)  d [Å]  I/Imax
17.48  5.072  1.5
24.82  3.587  3.1
30.53  2.928  100.0
35.39  2.536  54.5
39.74  2.268  0.9
43.71  2.071  1.5
50.92  1.793  38.7
60.54  1.529  43.4
63.54  1.464  13.2
74.88  1.268  6.1
82.98  1.164  18.0
85.64  1.134  17.6


Theoretical powder XRD pattern
Compound: Li12Al3Si4
Radiation: Cu Ka
Structure: a GGA-PBE-relaxed structure

The 10 most intense peaks (2θ from 15° to 90°), in order of rising 2θ:
2θ (°)	d (Å)	I_rel
20.68	4.295	100
23.92	3.720	28
31.83	2.812	34
40.21	2.243	92
42.08	2.147	27
43.88	2.063	69
47.33	1.921	15
56.71	1.623	16
70.48	1.336	23
78.15	1.223	26

Atomic structure:
```
Li12Al3Si4
1.0
-5.2602 5.2602 5.2602
5.2602 -5.2602 5.2602
5.2602 5.2602 -5.2602
Li Al Si
24 6 8
Direct
0.0363 0.6148 0.3461 Li
0.0785 0.3097 0.9637 Li
0.1148 0.5363 0.8461 Li
0.1539 0.7688 0.6903 Li
0.1903 0.2688 0.6539 Li
0.2312 0.4215 0.3852 Li
0.2688 0.6539 0.1903 Li
0.3097 0.9637 0.0785 Li
0.3461 0.0363 0.6148 Li
0.3852 0.2312 0.4215 Li
0.4215 0.3852 0.2312 Li
0.4637 0.8097 0.5785 Li
0.5363 0.8461 0.1148 Li
0.5785 0.4637 0.8097 Li
0.6148 0.3461 0.0363 Li
0.6539 0.1903 0.2688 Li
0.6903 0.1539 0.7688 Li
0.7312 0.8852 0.9215 Li
0.7688 0.6903 0.1539 Li
0.8097 0.5785 0.4637 Li
0.8461 0.1148 0.5363 Li